摘 要
1. Introduction 1
2. Chinese Texts and Their Translations 1
2.1 Similarities 1
2.1.1 Concise Language 2
2.1.2 Objective Content 3
2.2 Differences 3
2.2.1 Factuality vs Elaboration 4
2.2.2 Water-tight Sentence vs Loose Sentence 5
2.2.3 Objectiveness vs Emotionality 6
2.2.4 Cohesion vs Coherence 7
3. Culture Transmission 9
3.1 Domestication 10
3.2 Foreignization 11
4. Conclusion 11
Works Cited 12
1. Introduction
With the development of globalization, an increasing number of people from the outside world come to visit Lijjiang of China, one of the best attractions in China. Therefore, more and more tourist materials about the ancient town are translated into English. Among the existing versions, some are successful, while, some are problematic, which calls for academic studies. These studies aim to improve the quality of translation through finding out the similarities and differences between Chinese and English.
Huang Xiaoling (2005) studies the differences of thinking mode. Ma Guozhi ( 2011) analyzes the differences and the similarities between C-E translations through language and sentence. But, both of them just study the similarities between Chinese and English widely and generally. There is no concrete tourism texts studied. Then, some other studies appear. Zhai Xiaoyi (2012) studies two different versions about the introduction texts of eight attractions. Wang Ruisheng (2013) studies the C-E translation in terms of language, culture, and thinking modes by taking the translation of the great grassland in Inner Mongolia as an example. Stimulated by these studies, the author tries to do a simple study of the tourism translation of the ancient town Lijiang, probing into the translation skills and the culture transmission.
Thus, this article begins with the similarities of two versions of the text, and it discusses the aspects of language and content. Then the author tries to illustrate the differences from the aspects of words, sentences, personal emotion contained in the text and the textual construction. At last, the author makes a simple analysis of the culture transmission of the ancient town from the perspective of domestication and foreignization.
2. Chinese Texts and Their Translations
_Unrelated to this entry: crystal structures_
........
The following is a computed PXRD pattern of NdDy3Co8. It was derived from a DFT-relaxed cell (PBE, Alexandria), using Cu Kα (weighted mean of Kα1 and Kα2).
Lines closer than 0.1° are merged.

Most intense lines, 2θ from 10° to 90°, most intense first:
hkl	d (Å)	I_rel
2 0 2	2.173	100
1 1 0	2.548	65
2 2 0	1.274	22
2 1 10	1.387	19
1 2 8	1.471	18
0 2 4	2.080	15
0 1 2	4.160	14
3 0 6	1.386	11
2 1 16	1.139	11
1 3 10	1.098	8
3 0 0	1.470	6
0 2 10	1.653	4

Atomic structure:
a = 5.0923 Å, b = 5.0923 Å, c = 24.9876 Å
α = 90.00°, β = 90.00°, γ = 120.00°
Space group R3m (No. 160, hexagonal axes)
Asymmetric unit:
Nd1 0.0000 0.0000 0.0000 (multiplicity 3)
Dy1 0.0000 0.0000 0.1253 (multiplicity 3)
Dy2 0.0000 0.0000 0.5003 (multiplicity 3)
Dy3 0.0000 0.0000 0.6249 (multiplicity 3)
Co1 0.0000 0.0000 0.3122 (multiplicity 3)
Co2 0.0000 0.0000 0.8128 (multiplicity 3)
Co3 0.0020 0.5010 0.0641 (multiplicity 9)
Co4 0.1683 0.3366 0.8947 (multiplicity 9)

The following is a computed PXRD pattern of NdDyCo. It was derived from a DFT-relaxed cell (PBE, Alexandria), using Cu Kα (weighted mean of Kα1 and Kα2).
Lines closer than 0.1° are merged.

Most intense lines, 2θ from 10° to 90°, most intense first:
hkl	d (Å)	I_rel
1 2 -1	2.980	100
0 1 2	3.040	74
2 0 0	2.827	48
1 1 -3	2.473	39
2 0 -2	3.167	37
1 3 1	1.897	32
2 1 0	2.608	28
2 1 -4	1.929	25
1 2 1	2.437	23
2 2 -2	2.310	20
2 1 2	1.703	18
3 2 -1	1.805	17

Atomic structure:
a = 6.7055 Å, b = 6.7556 Å, c = 8.0747 Å
α = 90.00°, β = 122.51°, γ = 90.00°
Space group P2_1/c (No. 14)
Asymmetric unit:
Nd1 0.1932 0.1576 0.4177 (multiplicity 4)
Dy1 0.3084 0.6592 0.5968 (multiplicity 4)
Co1 0.2846 0.5197 0.2797 (multiplicity 4)

The following is a computed PXRD pattern of Dy2CoNi3. It was derived from a DFT-relaxed cell (PBE, Alexandria), using Cu Kα (weighted mean of Kα1 and Kα2).
Lines closer than 0.1° are merged.

Most intense lines, 2θ from 10° to 90°, most intense first:
hkl	d (Å)	I_rel
1 0 3	2.592	100
1 2 3	1.812	68
0 2 0	2.535	63
1 1 2	2.697	54
2 0 0	2.070	35
3 2 3	1.139	33
2 2 0	1.603	30
0 1 5	1.856	26
1 1 0	3.207	24
0 1 3	2.780	23
2 1 5	1.382	19
0 0 6	1.661	15

Atomic structure:
a = 4.1398 Å, b = 5.0708 Å, c = 9.9726 Å
........
2.1 Similarities
The Chinese texts and their translations of the ancient town Lijiang aim to introduce the history, landscape characteristics and values to the tourists, so there are many similarities in the two texts.
2.1.1 Concise Language
The two versions word briefly and concisely, and there are not many rhetoric words, but they strive to be accurate, and some professional nouns or terms are often used
1)古城建筑集汉、藏、白等各民族之大成,并具纳西族独特风格,是中国现存古城中极为罕见,保存完好的少数民族古城。选址和布局充分利用了地理环境和龙潭水系。建筑依山就势,层叠起伏。“城依水存,水随城在”成为古城的一大特色. (Wu Baozhang amp; He Changyi1999:247)
The building in the town have incorporated the best Han , Tibet, and Bai styles into the unique Naxi style so it is the rarest and best preserved ancient towns of minority ethnic people in China. The geographical features and the Heilongtan (black Dragon Pool ) river system were taken into account by the builders while selecting the site and planning the layout of the town. Houses have been built on the mountains slops tier upon tier. “The city depends on water for existence and water comes along with the city” has become of the main features of the old town. (Wu Baozhang amp; He Changyi 1999:671)
Here, either Chinese or English text conveys the meaning concisely. And also they can introduce Chinese ethnic culture to the foreign world. As is known universally, translation is for the purpose of communication. Yan Fu, a great Chinese translator, takes “faithfulness” and “expressiveness” as the fundamental standard of translation. According to Yan Fu, the above translation can transfer the information about the architecture of the ancient town to foreign visitors. As for “elegance”, it is not an easy thing, but the translator should do it as much as one can.
2.1.2 Objective Content
The tourism text aims to introduce the history, landscape features, and style of the ancient town to the tourists objectively. Therefore, it is pretty objective to reproduce the entities about the town.
The ancient town of Lijiang was built in the middle of a flatland of the foot of Yulong Snow Mountain. It got its name “Dayan Zhen”(The Town of Big Ink Slab)because the town is surrounded by tree-covered mountains on all sides of crystal clear water running in the middle of it. It has the appearance of a big jade ink slab. The town covers an area of 3.8 square kilometers at an elevation of 2400 meters. It has a population of 25379, among whom there are 16999 Naxi people.
Both the above two texts express the history of the name of the ancient town objectively, and the information about its area, height, and population is also given without any personal emotion. They just transfer the details of the ancient town to us. According to the translation theory of Dynamic Equivalence by Nida, “translation should set out from the reaction of the recipients of the translation, focus on the meaning and spirit of the original, not formalized.” (Xu Jun, 2009:75) Therefore, “大研镇” is translated as “Dayan zhen” and “the Town of Big Ink Slab”. In order not only to convey the original meaning to the foreign visitors, but also to transfer Chinese culture, especially the ancient town culture, the translator employs transliteration and literal translation.
In the above two parts, the author analyzes the similarities between the Chinese and English texts of ancient town Lijiang. Here come the differences.
2.2 Differences
Due to the different geographical environment, historical conditions, production mode, social structure, and cultural traditions, different ways of thinking and aesthetic habits are formed. Traditional western philosophy advocates rationality, and emphasizes individual character. The English translation of the ancient town stresses the form, reality and rationality particularly. The sentence structures are in hypotactic formation, cohesive and logical, and words emphasize a concise and natural style. In contrast, as for the relationship between the subjective reason and objective image, the Chinese stress performance and subjective reasons. They also like to express their emotion by the images. The words are implicative, and phonological harmony is the tradition and habits of Chinese.
2.2.1 Factuality vs Elaboration
Most of the English texts of this ancient town are composed with a contracted style, which is straightforward and factual, and pays more attention to the accuracy of information. The objective and concrete images are used to convey the characteristics of the ancient town. In contrast, Chinese texts word exquisitely to pursue the beauty of the objective scenery of the ancient town and present a subjective emotional harmony. The dual parallel structures and four words are largely used for writing neatly and phonological harmony.
- “城依水存,水随城在”成为古城的一大特色。
“The city depends on water for existence and water comes along with the city” has become of the main features of the old town.
- 古城的街道以四方街为中心向四面伸展,小巷如网往来畅便,在适当部位有集散空地。街巷路面均用红色角砾岩(俗称五花石)铺成,雨季不泥,旱季无尘,石上花纹图案自然雅致,与古城十分协调。
The road of the old town radiate from Sifang Street (square street ) to form a new network connecting every corner of the city. Small squares are scattered along appropriate sections of the main streets. All the streets and lanes of the town are paved with the red breccia, which is neither muddy in the rainy season nor dirty in the dry season. These fine-grained stones cohere perfectly with the entire environment of the town.
Here, the original text uses many colorful rhetoric words, such as “城依水存,水随城在” “雨季不泥,旱季无尘” “自然雅致” to praise the beauty of the ancient town, and to pursue writing neatly and phonological harmony. But the English translation is quite concise and brief. As we all know, conciseness and briefness is of largely help to obtain the meaning of the original. According to Peter Newmark, “Communicative translation attempts to produce on its readers an effect as close as possible to that obtained on the readers of original. Semantic translation attempts to render, as closely as the semantic and syntactic structures of the second language allows, the exact contextual meaning of the original.” (Liu Junping, 2010: 152) “neither muddy in the rainy season nor dirty in the dry season” can express the meaning of “雨季不泥,旱季无尘” exactly.
2.2.2 Water-tight Sentence vs Loose Sentence
English pays attention to hypotaxis and stresses the logic and organic combination of sentence structures. Therefore, the logical and hypotactic characteristics of English texts are reflected in the translation of the ancient town’s tourism materials. Contrarily, Chinese texts pay attention to parataxis, and the sentence structures are loose and free.
This is a kind of architecture with the principal room facing the south and two wing rooms and a screen wall behind the gate of the courtyard. It is typical residential architecture of the Bai and the Naxi nationalities. But there are some differences between the two. The Naxi style pays much attention to its anti-earthquake function and has a joint wood structure while the Bai styles more emphasizes wind preventing function. This is because Lijiang is situated in an earthquake zone。
The ancient town of Lijiang was built in the middle of a flatland of the foot of Yulong Snow Mountain. It got its name “Dayan Zhen”(The Town of Big Ink Slab )because the town is surrounded by tree-covered mountains on all sides of crystal clear water running in the middle of it.
In the detailed description of the architecture, many loose sentences are used in the Chinese text, while, in the English text, sentence structures are composed closely and logically.
2.2.3 Objectiveness vs Emotionality
English translation gives a good presentation of the minority architectural culture of the ancient town of Lijiang. The depiction of various constructions is objective and concrete. But most of the Chinese depictions of center street are far-reaching, wording colorfully, with the strong personal emotion.
1) 井干式意思是像水井上的栏木,也解释为其平面结构为“井”字形。这种房屋建盖是用原木或方木,横叠成屋墙,其四角结合处砍削加工,相接紧密。因此,又称“木楞”房。屋顶盖木片。这样的房屋,或单独1幢,或多幢围合成三合院、四合院等不同形式。这种民居建筑在云南以普米族和摩梭人较为典型。
Jingganshi, the style refers to the resembling the railings around the traditional Chinese wells. Or it can be explained as the one whose construction is like the Chinese character “井”. It is built with logs or wood shaped as desired. The logs are piled horizontally to make the wall, and the four corners of the house are closely connected. For this reason it is also called log house. The roof is covered with wood boards The houses can be detached, or put together to form a courtyard on three sides or four sides. It is typically residential architecture for the Pumi and Maosuo people.
- 古城的街道以四方街为中心向四面伸展,小巷如网往来畅便,在适当部位有集散空地。街巷路面均用红色角砾岩(俗称五花石)铺成,雨季不泥,旱季无尘,石上花纹图案自然雅致,与古城十分协调。
The road of the old town radiate from Sifang Street (Square Street) to form a new network connecting every corner of the city. Small squares are scattered along appropriate sections of the main streets. All the streets and lanes of the town are paved with the red breccia, which is neither muddy in the rainy season nor dirty in the dry season/ These fine-grained stones cohere perfectly with the entire environment of the town.
In the first example, the English text is to make the oversea friends understand what the “井干式” is. When reading the text, one can imagine the structure of the building easily and clearly. In addition, in the second example, there are many emotional words to show the writer’s appreciation and the affection to the ancient town. “雨季不泥,旱季无尘,石上花纹图案自然雅致,与古城十分协调” is just a kind of subjective feeling of the writer.
2.2.4 Cohesion vs Coherence
- With the help of morphological changes, the relational words and other conjunctions, the English stresses the surface connection between the clauses and sentences. But the Chinese stresses the meaningful connection or the coherence behind the words or sentences.
The town was built in the late Song dynasty and the early Yuan dynasty. Since then, it has been the political, cultural, and educational center in this area. For a time, it has been an important trading center for business between Yunnan and Tibet, China and India. The town is full of shops with a superb collection of handicrafts made of brass, fur, leather and textile, most of which are run by shrewd Naxi women.
In this translation, two conjunctions, “Since then” and “For a time” make the translation cohesive and express the long history of the ancient town successfully. In the sentence “For a time, it has been an important trading center for business between Yunnan and Tibet, China and India.”, the prepositive attribute “important” and the postpositive attribute “for business between Yunnan and Tibet, China and India” are contained in the same sentence simultaneously. The postpositive attribute “with a superb collection of handicrafts” is a little long. These features vary from each other, though they are of large help to the cohesion of the text.